# Assignment
It remains to give back everything further below character by character.
# Material
┌──
This record from the Open Molecules 2025 dataset describes a structure of composition C28H50DyP2Si in a non-equilibrium geometry. The level of theory is ωB97M-V/def2-TZVPD.

Summary:
Energy above the lowest of the compared OMol25 structures with the same formula, charge and spin ... 5.7 kJ/mol
LUMO (spin up / spin down) ... -0.1704 / -0.1712 Eh
Total charge ... +1
E_tot ... -2953.69385 Eh
Orbital gap (spin up / spin down) ... 4.99 / 4.99 eV
<S²> ... 9.344
Spin multiplicity ... 6

Last column: Löwdin charge in e.
Positions of all 82 atoms, in Å:
1 C -4.087 -1.365 0.785  -0.276
2 H 4.457 -2.837 -3.432  0.029
3 Si 3.980 -3.171 -1.007  0.417
4 C 1.143 0.377 1.592  -0.284
5 C -0.186 0.773 1.949  -0.321
6 C 2.388 -2.227 -0.865  -0.238
7 H 2.107 -1.497 1.421  0.039
8 H -3.037 0.632 -4.914  0.095
9 H 0.926 4.153 -0.336  0.099
10 C -0.985 0.223 3.070  -0.057
11 C 1.273 -1.658 -0.854  -0.238
12 H -5.014 -1.913 0.570  0.050
13 H -3.152 -4.118 -1.243  0.024
14 C 3.656 -5.005 -1.177  -0.194
15 H -6.711 0.261 -2.836  0.130
16 C -0.561 1.865 1.103  -0.342
17 H -0.164 1.021 -5.060  0.071
18 H 1.313 2.957 -1.588  0.074
19 H -5.042 1.406 -3.903  0.103
20 C -1.792 2.681 1.246  -0.051
21 H -0.657 -0.789 3.324  0.072
22 H 3.062 -5.369 -0.329  0.031
23 C 1.939 -0.718 2.174  -0.042
24 H -2.051 3.177 0.306  0.060
25 H -4.255 -0.304 0.538  0.049
26 C 0.598 3.206 -0.797  -0.053
27 C -3.371 -1.458 -4.555  -0.149
28 H 2.952 0.107 -0.652  0.042
29 C -4.751 -3.206 -3.284  -0.156
30 H 3.097 -5.221 -2.096  0.029
31 H 5.963 -3.022 -2.505  0.037
32 C -4.412 -2.519 -4.627  -0.162
33 H -1.285 -0.309 -5.438  0.034
34 H -1.882 -2.037 -2.714  0.062
35 H -3.449 1.576 -2.779  0.027
36 H -0.375 3.395 -1.269  0.052
37 C 0.519 2.117 0.202  -0.309
38 H 5.995 -3.419 0.416  0.036
39 H 5.081 -1.478 -2.473  0.030
40 H 5.249 -1.832 0.696  0.030
41 H 2.923 -0.354 2.494  0.094
42 H -5.723 -3.721 -3.411  0.136
43 C -2.106 -1.053 -2.284  -0.516
44 C -5.957 -0.439 -3.235  -0.157
45 C -3.682 -0.139 -4.470  -0.196
46 C 4.961 -2.569 -2.494  -0.190
47 H -6.517 -1.212 -3.775  0.113
48 C -5.082 0.358 -4.236  -0.168
49 H -2.366 -1.810 -4.793  0.101
50 C 2.882 1.083 -0.151  -0.040
51 H -4.876 -2.918 -1.129  0.086
52 H -3.862 -1.420 1.861  0.061
53 H -4.022 -4.011 -3.110  0.103
54 H -1.528 -4.070 -0.519  0.060
55 H -1.668 3.468 2.007  0.099
56 H 3.025 1.871 -0.901  0.078
57 C -2.376 1.823 -2.759  -0.223
58 H 3.704 1.136 0.578  0.094
59 H -5.622 0.384 -5.204  0.135
60 H 0.235 -0.640 -4.566  0.068
61 P -1.278 0.372 -3.043  0.784
62 H -2.055 0.181 2.816  0.057
63 H -3.167 -0.827 -2.296  -0.043
64 C -2.583 -3.790 -0.364  -0.255
65 H -5.328 -2.124 -5.079  0.109
66 H -2.945 -4.305 0.537  0.075
67 H -4.054 -3.308 -5.310  0.130
68 H -2.643 2.064 1.553  0.066
69 H 4.539 -3.292 1.426  0.032
70 C -4.822 -2.328 -2.057  -0.185
71 H -0.884 0.845 3.974  0.098
72 C 1.577 1.206 0.518  -0.279
73 P -2.655 -1.995 -0.165  0.907
74 C -5.213 -1.037 -2.088  -0.124
75 H -2.159 2.305 -1.790  0.018
76 Dy -0.655 -0.334 -0.560  1.157
77 H 1.428 -1.169 3.034  0.079
78 H 4.592 -5.576 -1.207  0.037
79 C 5.034 -2.896 0.529  -0.189
80 C -0.592 0.078 -4.685  -0.236
81 H -5.173 -0.400 -1.204  0.094
82 H -2.178 2.568 -3.547  0.079

Forces on the atoms, in the same order (eV/Å):
C -0.8 -0.2 -0.5
H 0.1 0.1 0.1
Si 0.7 0.1 0.2
C -1.1 0.7 -0.8
C 0.6 -0.1 -1.1
C -2.1 0.5 -0.4
H 0.1 0.1 0.3
H 0.0 -0.5 0.7
H -0.1 -0.2 -0.2
C -0.4 0.0 0.6
C 1.5 -1.1 -0.3
H 0.2 0.3 0.3
H 0.1 -0.1 0.4
C -0.3 -0.1 0.0
H 0.3 -0.3 0.0
C 0.4 -0.9 -0.6
H -0.1 -0.2 0.3
H -0.1 0.1 0.1
H 0.0 -0.3 -0.2
C -0.3 0.4 0.2
H -0.1 0.1 0.0
H 0.1 0.0 -0.1
C 0.4 -0.6 0.4
H -0.1 0.1 0.1
H 0.2 -0.4 0.2
C 0.0 0.6 -0.3
C -0.6 1.6 -1.5
H 0.2 0.4 0.1
C -0.4 -0.3 -0.1
H 0.1 0.0 0.1
H -0.3 0.1 0.0
C -0.4 -0.7 0.4
H 0.2 0.2 0.2
H -0.2 0.4 0.0
H 0.5 0.1 0.0
H 0.2 0.1 0.0
C 0.1 -1.1 0.5
H -0.2 0.1 0.0
H 0.0 -0.2 0.0
H -0.1 -0.2 0.0
H -0.1 -0.1 0.1
H 0.3 0.1 0.1
C -2.5 -1.0 0.0
C 0.1 0.5 -0.7
C -0.5 -1.4 -2.2
C -0.2 0.1 -0.1
H 0.2 0.2 0.3
C -0.5 0.3 -0.2
H -0.2 0.4 0.0
└──
# Done
This record from the Open Molecules 2025 dataset describes a structure of composition C28H50DyP2Si in a non-equilibrium geometry. The level of theory is ωB97M-V/def2-TZVPD.

Summary:
Energy above the lowest of the compared OMol25 structures with the same formula, charge and spin ... 5.7 kJ/mol
LUMO (spin up / spin down) ... -0.1704 / -0.1712 Eh
Total charge ... +1
E_tot ... -2953.69385 Eh
Orbital gap (spin up / spin down) ... 4.99 / 4.99 eV
<S²> ... 9.344
Spin multiplicity ... 6

Last column: Löwdin charge in e.
Positions of all 82 atoms, in Å:
1 C -4.087 -1.365 0.785  -0.276
2 H 4.457 -2.837 -3.432  0.029
3 Si 3.980 -3.171 -1.007  0.417
4 C 1.143 0.377 1.592  -0.284
5 C -0.186 0.773 1.949  -0.321
6 C 2.388 -2.227 -0.865  -0.238
7 H 2.107 -1.497 1.421  0.039
8 H -3.037 0.632 -4.914  0.095
9 H 0.926 4.153 -0.336  0.099
10 C -0.985 0.223 3.070  -0.057
11 C 1.273 -1.658 -0.854  -0.238
12 H -5.014 -1.913 0.570  0.050
13 H -3.152 -4.118 -1.243  0.024
14 C 3.656 -5.005 -1.177  -0.194
15 H -6.711 0.261 -2.836  0.130
16 C -0.561 1.865 1.103  -0.342
17 H -0.164 1.021 -5.060  0.071
18 H 1.313 2.957 -1.588  0.074
19 H -5.042 1.406 -3.903  0.103
20 C -1.792 2.681 1.246  -0.051
21 H -0.657 -0.789 3.324  0.072
22 H 3.062 -5.369 -0.329  0.031
23 C 1.939 -0.718 2.174  -0.042
24 H -2.051 3.177 0.306  0.060
25 H -4.255 -0.304 0.538  0.049
26 C 0.598 3.206 -0.797  -0.053
27 C -3.371 -1.458 -4.555  -0.149
28 H 2.952 0.107 -0.652  0.042
29 C -4.751 -3.206 -3.284  -0.156
30 H 3.097 -5.221 -2.096  0.029
31 H 5.963 -3.022 -2.505  0.037
32 C -4.412 -2.519 -4.627  -0.162
33 H -1.285 -0.309 -5.438  0.034
34 H -1.882 -2.037 -2.714  0.062
35 H -3.449 1.576 -2.779  0.027
36 H -0.375 3.395 -1.269  0.052
37 C 0.519 2.117 0.202  -0.309
38 H 5.995 -3.419 0.416  0.036
39 H 5.081 -1.478 -2.473  0.030
40 H 5.249 -1.832 0.696  0.030
41 H 2.923 -0.354 2.494  0.094
42 H -5.723 -3.721 -3.411  0.136
43 C -2.106 -1.053 -2.284  -0.516
44 C -5.957 -0.439 -3.235  -0.157
45 C -3.682 -0.139 -4.470  -0.196
46 C 4.961 -2.569 -2.494  -0.190
47 H -6.517 -1.212 -3.775  0.113
48 C -5.082 0.358 -4.236  -0.168
49 H -2.366 -1.810 -4.793  0.101
50 C 2.882 1.083 -0.151  -0.040
51 H -4.876 -2.918 -1.129  0.086
52 H -3.862 -1.420 1.861  0.061
53 H -4.022 -4.011 -3.110  0.103
54 H -1.528 -4.070 -0.519  0.060
55 H -1.668 3.468 2.007  0.099
56 H 3.025 1.871 -0.901  0.078
57 C -2.376 1.823 -2.759  -0.223
58 H 3.704 1.136 0.578  0.094
59 H -5.622 0.384 -5.204  0.135
60 H 0.235 -0.640 -4.566  0.068
61 P -1.278 0.372 -3.043  0.784
62 H -2.055 0.181 2.816  0.057
63 H -3.167 -0.827 -2.296  -0.043
64 C -2.583 -3.790 -0.364  -0.255
65 H -5.328 -2.124 -5.079  0.109
66 H -2.945 -4.305 0.537  0.075
67 H -4.054 -3.308 -5.310  0.130
68 H -2.643 2.064 1.553  0.066
69 H 4.539 -3.292 1.426  0.032
70 C -4.822 -2.328 -2.057  -0.185
71 H -0.884 0.845 3.974  0.098
72 C 1.577 1.206 0.518  -0.279
73 P -2.655 -1.995 -0.165  0.907
74 C -5.213 -1.037 -2.088  -0.124
75 H -2.159 2.305 -1.790  0.018
76 Dy -0.655 -0.334 -0.560  1.157
77 H 1.428 -1.169 3.034  0.079
78 H 4.592 -5.576 -1.207  0.037
79 C 5.034 -2.896 0.529  -0.189
80 C -0.592 0.078 -4.685  -0.236
81 H -5.173 -0.400 -1.204  0.094
82 H -2.178 2.568 -3.547  0.079

Forces on the atoms, in the same order (eV/Å):
C -0.8 -0.2 -0.5
H 0.1 0.1 0.1
Si 0.7 0.1 0.2
C -1.1 0.7 -0.8
C 0.6 -0.1 -1.1
C -2.1 0.5 -0.4
H 0.1 0.1 0.3
H 0.0 -0.5 0.7
H -0.1 -0.2 -0.2
C -0.4 0.0 0.6
C 1.5 -1.1 -0.3
H 0.2 0.3 0.3
H 0.1 -0.1 0.4
C -0.3 -0.1 0.0
H 0.3 -0.3 0.0
C 0.4 -0.9 -0.6
H -0.1 -0.2 0.3
H -0.1 0.1 0.1
H 0.0 -0.3 -0.2
C -0.3 0.4 0.2
H -0.1 0.1 0.0
H 0.1 0.0 -0.1
C 0.4 -0.6 0.4
H -0.1 0.1 0.1
H 0.2 -0.4 0.2
C 0.0 0.6 -0.3
C -0.6 1.6 -1.5
H 0.2 0.4 0.1
C -0.4 -0.3 -0.1
H 0.1 0.0 0.1
H -0.3 0.1 0.0
C -0.4 -0.7 0.4
H 0.2 0.2 0.2
H -0.2 0.4 0.0
H 0.5 0.1 0.0
H 0.2 0.1 0.0
C 0.1 -1.1 0.5
H -0.2 0.1 0.0
H 0.0 -0.2 0.0
H -0.1 -0.2 0.0
H -0.1 -0.1 0.1
H 0.3 0.1 0.1
C -2.5 -1.0 0.0
C 0.1 0.5 -0.7
C -0.5 -1.4 -2.2
C -0.2 0.1 -0.1
H 0.2 0.2 0.3
C -0.5 0.3 -0.2
H -0.2 0.4 0.0